Duplicate the whole of the contents further below verbatim.

........
#A
{"formula": "C4H7F", "method": "wB97M-V/def2-TZVPD", "smiles": "C/C=C(/C)F", "orbital_gap_ha": 0.36404, "total_charge": 0, "elements": ["F", "C", "C", "C", "C", "H", "H", "H", "H", "H", "H", "H"], "positions_angstrom": [[1.2071, -1.1776, -0.3731], [0.3413, -0.1680, -0.5637], [0.4427, 0.3687, -1.9350], [-0.6350, -0.4116, 1.9095], [-0.2560, 0.2845, 0.5556], [0.4070, -0.8706, 2.0426], [1.5555, 0.7736, -2.1597], [-1.4053, -1.0347, 2.6966], [-1.1994, 0.7858, 0.2797], [-0.7496, 0.4987, 2.5182], [0.3511, -0.2518, -2.7439], [-0.0596, 1.2030, -2.2267]]}

#B
{"formula": "C4H7F", "method": "wB97M-V/def2-TZVPD", "smiles": "C=C[C@@H](C)F", "orbital_gap_ha": 0.42099, "total_charge": 0, "elements": ["F", "C", "C", "C", "C", "H", "H", "H", "H", "H", "H", "H"], "positions_angstrom": [[0.0377, -1.7778, -0.5822], [-0.4569, -0.5438, -0.1915], [1.2498, -0.1271, 1.7277], [-0.8749, 0.3746, -1.3906], [0.6675, 0.3097, 0.6328], [-1.5033, 1.1761, -0.9991], [2.0918, 0.3021, 2.2112], [-0.0461, 0.9426, -1.8804], [-1.5185, -0.1229, -2.1401], [0.9506, 1.2651, 0.1132], [0.7107, -1.0217, 2.1319], [-1.3082, -0.7769, 0.3670]]}

What should be chosen as the least stable of them? Choose #A.

#A
{"formula": "CH8N5", "method": "wB97M-V/def2-TZVPD", "orbital_gap_ha": 0.35470, "total_charge": 1, "elements": ["N", "N", "N", "N", "N", "C", "H", "H", "H", "H", "H", "H", "H", "H"], "positions_angstrom": [[-0.7825, 0.0493, 0.5657], [2.5913, -0.6782, 0.0063], [-2.8989, -0.5901, 0.1072], [0.6738, 1.8187, -0.1324], [0.3585, 0.6173, 0.0487], [-1.8443, 0.0811, -0.1917], [-3.7029, -0.6416, -0.4758], [-2.8437, -1.2217, 0.9211], [1.5856, -0.1517, -0.1764], [2.8028, -0.4489, 0.9668], [-1.8406, 0.6952, -1.1923], [3.4592, -0.4453, -0.6022], [0.0417, 2.5908, 0.2438], [2.3999, -1.6750, -0.0888]]}

#B
{"formula": "CH8N5", "method": "wB97M-V/def2-TZVPD", "orbital_gap_ha": 0.35269, "total_charge": 1, "elements": ["N", "N", "N", "N", "N", "C", "H", "H", "H", "H", "H", "H", "H", "H"], "positions_angstrom": [[0.4417, 1.3089, -0.9358], [-2.2727, -1.4533, 1.3940], [2.3335, 0.7610, 0.7933], [-0.9278, 0.0570, 0.1765], [-0.7155, 0.8456, -0.7954], [-1.8175, -0.6490, 0.6505], [3.2717, 0.9259, 0.4448], [-3.1565, -1.8984, 1.5438], [1.2950, 1.0784, -0.2406], [2.2747, -0.2121, 1.0823], [0.5580, 1.9369, -1.7255], [-1.6122, -2.0909, -2.3632], [-1.8828, -1.9505, -1.6425], [2.2103, 1.3405, 1.6177]]}

What should be chosen as the least stable of them? Choose #B.

#A
{"formula": "C3H6", "method": "wB97M-V/def2-TZVPD", "smiles": "C1CC1", "orbital_gap_ha": 0.42116, "total_charge": 0, "elements": ["C", "C", "C", "H", "H", "H", "H", "H", "H"], "positions_angstrom": [[0.2789, 0.4754, 0.7134], [0.5395, 0.0118, -0.6728], [-0.7712, -0.4365, -0.0467], [0.4641, 0.7667, -1.5049], [-0.1201, 1.4365, 1.0121], [0.8052, -0.1132, 1.4078], [-0.8406, -1.4663, 0.2969], [1.3077, -0.7160, -0.8350], [-1.6634, 0.0417, -0.3708]]}

#B
{"formula": "C3H6", "method": "wB97M-V/def2-TZVPD", "smiles": "C1CC1", "orbital_gap_ha": 0.42652, "total_charge": 0, "elements": ["C", "C", "C", "H", "H", "H", "H", "H", "H"], "positions_angstrom": [[0.1307, 0.8433, 0.3865], [0.3793, -0.1673, -0.6877], [-0.5406, -0.4510, 0.4530], [0.1643, -0.1523, -1.7504], [-0.4801, 1.6847, 0.1024], [0.8946, 0.8986, 1.0932], [-0.1748, -1.4167, 0.9948], [-1.5912, -0.5526, 0.1701], [1.2178, -0.6868, -0.7619]]}

What should be chosen as the least stable of them? Choose #B.

#A
{"formula": "C3H6", "method": "wB97M-V/def2-TZVPD", "smiles": "C1CC1", "orbital_gap_ha": 0.43431, "total_charge": 0, "elements": ["C", "C", "C", "H", "H", "H", "H", "H", "H"], "positions_angstrom": [[0.8596, -0.2561, -0.0178], [-0.6306, -0.5803, -0.0093], [-0.2156, 0.8077, 0.0065], [-0.3796, 1.4349, -0.8977], [-0.1996, 1.3354, 0.9325], [-1.1955, -0.9322, -0.8689], [1.4174, -0.3886, -0.9742], [-1.0673, -0.8850, 0.9723], [1.3444, -0.3921, 0.9595]]}

#B
........

#A
{"formula": "C4H7F", "method": "wB97M-V/def2-TZVPD", "smiles": "C/C=C(/C)F", "orbital_gap_ha": 0.36404, "total_charge": 0, "elements": ["F", "C", "C", "C", "C", "H", "H", "H", "H", "H", "H", "H"], "positions_angstrom": [[1.2071, -1.1776, -0.3731], [0.3413, -0.1680, -0.5637], [0.4427, 0.3687, -1.9350], [-0.6350, -0.4116, 1.9095], [-0.2560, 0.2845, 0.5556], [0.4070, -0.8706, 2.0426], [1.5555, 0.7736, -2.1597], [-1.4053, -1.0347, 2.6966], [-1.1994, 0.7858, 0.2797], [-0.7496, 0.4987, 2.5182], [0.3511, -0.2518, -2.7439], [-0.0596, 1.2030, -2.2267]]}

#B
{"formula": "C4H7F", "method": "wB97M-V/def2-TZVPD", "smiles": "C=C[C@@H](C)F", "orbital_gap_ha": 0.42099, "total_charge": 0, "elements": ["F", "C", "C", "C", "C", "H", "H", "H", "H", "H", "H", "H"], "positions_angstrom": [[0.0377, -1.7778, -0.5822], [-0.4569, -0.5438, -0.1915], [1.2498, -0.1271, 1.7277], [-0.8749, 0.3746, -1.3906], [0.6675, 0.3097, 0.6328], [-1.5033, 1.1761, -0.9991], [2.0918, 0.3021, 2.2112], [-0.0461, 0.9426, -1.8804], [-1.5185, -0.1229, -2.1401], [0.9506, 1.2651, 0.1132], [0.7107, -1.0217, 2.1319], [-1.3082, -0.7769, 0.3670]]}

What should be chosen as the least stable of them? Choose #A.

#A
{"formula": "CH8N5", "method": "wB97M-V/def2-TZVPD", "orbital_gap_ha": 0.35470, "total_charge": 1, "elements": ["N", "N", "N", "N", "N", "C", "H", "H", "H", "H", "H", "H", "H", "H"], "positions_angstrom": [[-0.7825, 0.0493, 0.5657], [2.5913, -0.6782, 0.0063], [-2.8989, -0.5901, 0.1072], [0.6738, 1.8187, -0.1324], [0.3585, 0.6173, 0.0487], [-1.8443, 0.0811, -0.1917], [-3.7029, -0.6416, -0.4758], [-2.8437, -1.2217, 0.9211], [1.5856, -0.1517, -0.1764], [2.8028, -0.4489, 0.9668], [-1.8406, 0.6952, -1.1923], [3.4592, -0.4453, -0.6022], [0.0417, 2.5908, 0.2438], [2.3999, -1.6750, -0.0888]]}

#B
{"formula": "CH8N5", "method": "wB97M-V/def2-TZVPD", "orbital_gap_ha": 0.35269, "total_charge": 1, "elements": ["N", "N", "N", "N", "N", "C", "H", "H", "H", "H", "H", "H", "H", "H"], "positions_angstrom": [[0.4417, 1.3089, -0.9358], [-2.2727, -1.4533, 1.3940], [2.3335, 0.7610, 0.7933], [-0.9278, 0.0570, 0.1765], [-0.7155, 0.8456, -0.7954], [-1.8175, -0.6490, 0.6505], [3.2717, 0.9259, 0.4448], [-3.1565, -1.8984, 1.5438], [1.2950, 1.0784, -0.2406], [2.2747, -0.2121, 1.0823], [0.5580, 1.9369, -1.7255], [-1.6122, -2.0909, -2.3632], [-1.8828, -1.9505, -1.6425], [2.2103, 1.3405, 1.6177]]}

What should be chosen as the least stable of them? Choose #B.

#A
{"formula": "C3H6", "method": "wB97M-V/def2-TZVPD", "smiles": "C1CC1", "orbital_gap_ha": 0.42116, "total_charge": 0, "elements": ["C", "C", "C", "H", "H", "H", "H", "H", "H"], "positions_angstrom": [[0.2789, 0.4754, 0.7134], [0.5395, 0.0118, -0.6728], [-0.7712, -0.4365, -0.0467], [0.4641, 0.7667, -1.5049], [-0.1201, 1.4365, 1.0121], [0.8052, -0.1132, 1.4078], [-0.8406, -1.4663, 0.2969], [1.3077, -0.7160, -0.8350], [-1.6634, 0.0417, -0.3708]]}

#B
{"formula": "C3H6", "method": "wB97M-V/def2-TZVPD", "smiles": "C1CC1", "orbital_gap_ha": 0.42652, "total_charge": 0, "elements": ["C", "C", "C", "H", "H", "H", "H", "H", "H"], "positions_angstrom": [[0.1307, 0.8433, 0.3865], [0.3793, -0.1673, -0.6877], [-0.5406, -0.4510, 0.4530], [0.1643, -0.1523, -1.7504], [-0.4801, 1.6847, 0.1024], [0.8946, 0.8986, 1.0932], [-0.1748, -1.4167, 0.9948], [-1.5912, -0.5526, 0.1701], [1.2178, -0.6868, -0.7619]]}

What should be chosen as the least stable of them? Choose #B.

#A
{"formula": "C3H6", "method": "wB97M-V/def2-TZVPD", "smiles": "C1CC1", "orbital_gap_ha": 0.43431, "total_charge": 0, "elements": ["C", "C", "C", "H", "H", "H", "H", "H", "H"], "positions_angstrom": [[0.8596, -0.2561, -0.0178], [-0.6306, -0.5803, -0.0093], [-0.2156, 0.8077, 0.0065], [-0.3796, 1.4349, -0.8977], [-0.1996, 1.3354, 0.9325], [-1.1955, -0.9322, -0.8689], [1.4174, -0.3886, -0.9742], [-1.0673, -0.8850, 0.9723], [1.3444, -0.3921, 0.9595]]}

#B